## Data
/*
Below is C4H5IOS in the gas phase at a distorted geometry, with properties calculated with ωB97M-V with the def2-TZVPD basis set.

Positions of all 12 atoms, in Å:
C: 0.233 2.166 0.165
C: 0.197 -1.013 0.174
C: 0.670 -0.212 -1.016
C: -0.986 -0.507 0.894
O: -0.134 3.085 0.808
S: 1.511 1.382 -0.549
I: -2.844 -0.462 -0.015
H: -0.031 -2.154 -0.203
H: 0.890 -1.176 0.961
H: 1.401 -0.654 -1.609
H: -0.108 -0.054 -1.601
H: -0.799 -0.400 1.989

Its maximum force is 0.09255 Eh/bohr. The energy above the lowest of the compared OMol25 structures with the same formula, charge and spin comes out at 386.3 kJ/mol. The LUMO energy (alpha / beta) comes out at -0.284 / 0.067 eV. Its HOMO energy (alpha / beta) is -7.24 / -8.01 eV.


Below is a gas-phase ion, C8H16N2P (charge +1) at a distorted geometry, with properties calculated with ωB97M-V with the def2-TZVPD basis set.

Positions of all 27 atoms, in Å:
C: 0.896 1.236 -2.559
C: 2.140 0.480 -2.001
C: 1.577 -0.431 -0.888
N: 0.463 0.319 -0.259
C: -0.428 -0.436 0.607
C: -1.385 0.453 1.314
C: -2.509 -0.376 1.964
N: -2.193 -1.595 2.687
P: -0.805 -2.320 2.828
C: 0.363 -1.393 1.642
C: -0.178 1.120 -1.390
H: 1.262 2.241 -2.810
H: 0.450 0.866 -3.506
H: 2.597 -0.059 -2.753
H: 2.855 1.125 -1.645
H: 1.276 -1.365 -1.182
H: 2.422 -0.541 -0.279
H: 0.936 0.838 0.446
H: -1.158 -1.085 0.049
H: -1.852 1.052 0.627
H: -1.034 1.033 2.205
H: -2.923 0.355 2.698
H: -3.347 -0.780 1.279
H: 1.002 -2.229 1.132
H: 1.001 -0.954 2.326
H: -0.517 2.002 -0.864
H: -0.911 0.442 -1.667

Its charge is +1. Its maximum force is 0.08015 Eh/bohr. The energy above the lowest of the compared OMol25 structures with the same formula, charge and spin comes out at 15.5 kJ/mol. Its SMILES is C1CC[NH+]([C@@H]2CCN=PC2)C1. The LUMO energy comes out at -3.169 eV. Its HOMO energy is -12.56 eV.


Below is a molecular structure, C31H67F6N2O10Y at a distorted geometry, with properties calculated with ωB97M-V with the def2-TZVPD basis set.

Positions of all 117 atoms, in Å:
Y: 4.468 2.648 -2.913
C: 1.280 0.566 -0.627
C: 2.627 1.071 -0.156
O: 3.505 1.369 -1.211
H: 1.179 -0.516 -0.685
H: 0.924 1.074 -1.530
H: 0.497 0.950 0.041
H: 3.053 0.369 0.570
H: 2.424 1.982 0.422
C: 3.078 -4.463 -4.572
O: 2.535 -3.894 -3.380
O: 4.081 -3.686 -4.965
C: 3.295 -6.002 -4.398
F: 4.167 -6.429 -5.313
F: 3.706 -6.323 -3.150
F: 2.148 -6.709 -4.578
C: 1.240 -4.340 -2.979
C: 0.726 -3.281 -2.034
H: 0.421 -2.363 -2.554
H: -0.222 -3.527 -1.549
H: 1.399 -2.994 -1.225
H: 1.282 -5.279 -2.424
H: 0.506 -4.390 -3.787
H: 2.289 -4.417 -5.351
C: 1.555 4.623 -2.663
O: 0.871 3.765 -3.554
O: 2.883 4.417 -2.882
C: 1.060 6.092 -2.869
F: 1.895 6.859 -3.592
F: -0.133 6.135 -3.457
F: 0.984 6.658 -1.639
C: -0.429 3.339 -3.256
C: -0.824 2.255 -4.286
H: -0.837 2.740 -5.261
H: -0.101 1.439 -4.254
H: -1.794 1.815 -4.062
H: -1.220 4.082 -3.383
H: -0.448 2.855 -2.272
H: 1.345 4.303 -1.636
O: 3.248 -1.255 -2.889
H: 2.653 -2.000 -2.714
H: 2.910 -0.530 -2.352
O: 5.504 -1.078 -0.538
H: 5.150 -1.665 0.140
H: 4.844 -0.373 -0.632
C: -0.496 -2.895 1.422
C: -1.932 -3.448 1.160
C: -1.734 -4.864 0.613
C: -3.006 -5.693 0.674
C: -3.410 -5.814 2.149
C: -3.664 -4.447 2.788
N: -2.598 -3.512 2.455
O: -2.915 -2.198 2.905
C: -5.018 -3.951 2.271
C: -3.747 -4.642 4.315
C: -2.522 -2.516 0.079
H: -0.001 -3.406 2.250
H: -0.608 -1.817 1.580
H: 0.213 -2.966 0.598
H: -1.455 -4.876 -0.445
H: -0.882 -5.310 1.135
H: -2.909 -6.708 0.285
H: -3.738 -5.165 0.060
H: -2.662 -6.439 2.640
H: -4.331 -6.403 2.111
H: -5.871 -4.573 2.562
H: -5.265 -2.953 2.649
H: -5.170 -3.817 1.196
H: -4.355 -5.518 4.533
H: -2.742 -4.697 4.723
H: -4.327 -3.794 4.686
H: -3.566 -2.792 -0.097
H: -1.991 -2.496 -0.870
H: -2.580 -1.490 0.445
H: -2.072 -1.885 3.254
C: -2.478 1.961 0.582
C: -2.301 2.833 1.844
C: -0.850 3.272 1.899
C: -0.540 4.403 0.901
C: -1.536 5.521 0.991
C: -3.028 5.102 0.933
N: -3.197 3.995 1.890
O: -4.524 3.589 2.109
C: -3.791 6.279 1.526
C: -3.533 4.800 -0.486
C: -2.521 1.912 3.051
H: -2.010 0.984 0.682
H: -2.171 2.455 -0.339
H: -3.537 1.753 0.377
*/
## To do
Copy the whole of the contents further above without altering anything, please.
## Reply
Below is C4H5IOS in the gas phase at a distorted geometry, with properties calculated with ωB97M-V with the def2-TZVPD basis set.

Positions of all 12 atoms, in Å:
C: 0.233 2.166 0.165
C: 0.197 -1.013 0.174
C: 0.670 -0.212 -1.016
C: -0.986 -0.507 0.894
O: -0.134 3.085 0.808
S: 1.511 1.382 -0.549
I: -2.844 -0.462 -0.015
H: -0.031 -2.154 -0.203
H: 0.890 -1.176 0.961
H: 1.401 -0.654 -1.609
H: -0.108 -0.054 -1.601
H: -0.799 -0.400 1.989

Its maximum force is 0.09255 Eh/bohr. The energy above the lowest of the compared OMol25 structures with the same formula, charge and spin comes out at 386.3 kJ/mol. The LUMO energy (alpha / beta) comes out at -0.284 / 0.067 eV. Its HOMO energy (alpha / beta) is -7.24 / -8.01 eV.


Below is a gas-phase ion, C8H16N2P (charge +1) at a distorted geometry, with properties calculated with ωB97M-V with the def2-TZVPD basis set.

Positions of all 27 atoms, in Å:
C: 0.896 1.236 -2.559
C: 2.140 0.480 -2.001
C: 1.577 -0.431 -0.888
N: 0.463 0.319 -0.259
C: -0.428 -0.436 0.607
C: -1.385 0.453 1.314
C: -2.509 -0.376 1.964
N: -2.193 -1.595 2.687
P: -0.805 -2.320 2.828
C: 0.363 -1.393 1.642
C: -0.178 1.120 -1.390
H: 1.262 2.241 -2.810
H: 0.450 0.866 -3.506
H: 2.597 -0.059 -2.753
H: 2.855 1.125 -1.645
H: 1.276 -1.365 -1.182
H: 2.422 -0.541 -0.279
H: 0.936 0.838 0.446
H: -1.158 -1.085 0.049
H: -1.852 1.052 0.627
H: -1.034 1.033 2.205
H: -2.923 0.355 2.698
H: -3.347 -0.780 1.279
H: 1.002 -2.229 1.132
H: 1.001 -0.954 2.326
H: -0.517 2.002 -0.864
H: -0.911 0.442 -1.667

Its charge is +1. Its maximum force is 0.08015 Eh/bohr. The energy above the lowest of the compared OMol25 structures with the same formula, charge and spin comes out at 15.5 kJ/mol. Its SMILES is C1CC[NH+]([C@@H]2CCN=PC2)C1. The LUMO energy comes out at -3.169 eV. Its HOMO energy is -12.56 eV.


Below is a molecular structure, C31H67F6N2O10Y at a distorted geometry, with properties calculated with ωB97M-V with the def2-TZVPD basis set.

Positions of all 117 atoms, in Å:
Y: 4.468 2.648 -2.913
C: 1.280 0.566 -0.627
C: 2.627 1.071 -0.156
O: 3.505 1.369 -1.211
H: 1.179 -0.516 -0.685
H: 0.924 1.074 -1.530
H: 0.497 0.950 0.041
H: 3.053 0.369 0.570
H: 2.424 1.982 0.422
C: 3.078 -4.463 -4.572
O: 2.535 -3.894 -3.380
O: 4.081 -3.686 -4.965
C: 3.295 -6.002 -4.398
F: 4.167 -6.429 -5.313
F: 3.706 -6.323 -3.150
F: 2.148 -6.709 -4.578
C: 1.240 -4.340 -2.979
C: 0.726 -3.281 -2.034
H: 0.421 -2.363 -2.554
H: -0.222 -3.527 -1.549
H: 1.399 -2.994 -1.225
H: 1.282 -5.279 -2.424
H: 0.506 -4.390 -3.787
H: 2.289 -4.417 -5.351
C: 1.555 4.623 -2.663
O: 0.871 3.765 -3.554
O: 2.883 4.417 -2.882
C: 1.060 6.092 -2.869
F: 1.895 6.859 -3.592
F: -0.133 6.135 -3.457
F: 0.984 6.658 -1.639
C: -0.429 3.339 -3.256
C: -0.824 2.255 -4.286
H: -0.837 2.740 -5.261
H: -0.101 1.439 -4.254
H: -1.794 1.815 -4.062
H: -1.220 4.082 -3.383
H: -0.448 2.855 -2.272
H: 1.345 4.303 -1.636
O: 3.248 -1.255 -2.889
H: 2.653 -2.000 -2.714
H: 2.910 -0.530 -2.352
O: 5.504 -1.078 -0.538
H: 5.150 -1.665 0.140
H: 4.844 -0.373 -0.632
C: -0.496 -2.895 1.422
C: -1.932 -3.448 1.160
C: -1.734 -4.864 0.613
C: -3.006 -5.693 0.674
C: -3.410 -5.814 2.149
C: -3.664 -4.447 2.788
N: -2.598 -3.512 2.455
O: -2.915 -2.198 2.905
C: -5.018 -3.951 2.271
C: -3.747 -4.642 4.315
C: -2.522 -2.516 0.079
H: -0.001 -3.406 2.250
H: -0.608 -1.817 1.580
H: 0.213 -2.966 0.598
H: -1.455 -4.876 -0.445
H: -0.882 -5.310 1.135
H: -2.909 -6.708 0.285
H: -3.738 -5.165 0.060
H: -2.662 -6.439 2.640
H: -4.331 -6.403 2.111
H: -5.871 -4.573 2.562
H: -5.265 -2.953 2.649
H: -5.170 -3.817 1.196
H: -4.355 -5.518 4.533
H: -2.742 -4.697 4.723
H: -4.327 -3.794 4.686
H: -3.566 -2.792 -0.097
H: -1.991 -2.496 -0.870
H: -2.580 -1.490 0.445
H: -2.072 -1.885 3.254
C: -2.478 1.961 0.582
C: -2.301 2.833 1.844
C: -0.850 3.272 1.899
C: -0.540 4.403 0.901
C: -1.536 5.521 0.991
C: -3.028 5.102 0.933
N: -3.197 3.995 1.890
O: -4.524 3.589 2.109
C: -3.791 6.279 1.526
C: -3.533 4.800 -0.486
C: -2.521 1.912 3.051
H: -2.010 0.984 0.682
H: -2.171 2.455 -0.339
H: -3.537 1.753 0.377